<<<
No. 1
Computed, not measured: an optimized crystal structure of InSiAuC2 at the PBE-GGA level of DFT.

Cell and atoms, written as CIF:
```
data_InSiAuC2
_chemical_formula_sum 'In1 Si1 Au1 C2'
_cell_length_a 4.0146
_cell_length_b 4.0146
_cell_length_c 5.9754
_cell_angle_alpha 90.00
_cell_angle_beta 90.00
_cell_angle_gamma 90.00
_space_group_name_H-M_alt 'P 1'
_space_group_IT_number 1
_space_group_name_Hall 'P 1'
loop_
_atom_site_label
_atom_site_type_symbol
_atom_site_fract_x
_atom_site_fract_y
_atom_site_fract_z
_atom_site_occupancy
In1 In 0.0000 0.0000 0.0000 1
Si1 Si 0.5000 0.5000 0.0000 1
Au1 Au 0.0000 0.0000 0.5000 1
C1 C 0.0000 0.5000 0.5000 1
C2 C 0.5000 0.0000 0.5000 1
```

* total moment: 0.50 μB/f.u.
* SG: P4/mmm (123)
* formation energy without anion corrections: 2177 meV/atom
* Fermi-level density of states: 3.83 states/eV/cell


No. 2
Computed, not measured: an optimized crystal structure of InSn2AuC at the PBE-GGA level of DFT.

Cell and atoms, written as CIF:
```
data_InSn2AuC
_chemical_formula_sum 'In1 Sn2 Au1 C1'
_cell_length_a 5.2717
_cell_length_b 5.2717
_cell_length_c 4.0517
_cell_angle_alpha 90.00
_cell_angle_beta 90.00
_cell_angle_gamma 90.00
_space_group_name_H-M_alt 'P 1'
_space_group_IT_number 1
_space_group_name_Hall 'P 1'
loop_
_atom_site_label
_atom_site_type_symbol
_atom_site_fract_x
_atom_site_fract_y
_atom_site_fract_z
_atom_site_occupancy
In1 In 0.0000 0.0000 0.0000 1
Sn1 Sn 0.0000 0.5000 0.5000 1
Sn2 Sn 0.5000 0.0000 0.5000 1
Au1 Au 0.5000 0.5000 0.0000 1
C1 C 0.5000 0.5000 0.5000 1
```

* formation energy: 0.689 eV/atom
* total moment: 0.00 μB/f.u.
* SG: P4/mmm (123)
* Fermi-level density of states: 2.71 states/eV/cell


No. 3
Computed, not measured: an optimized crystal structure of TaInAu2C at the PBE-GGA level of DFT.

Cell and atoms, written as CIF:
```
data_TaInAu2C
_chemical_formula_sum 'Ta1 In1 Au2 C1'
_cell_length_a 5.0045
_cell_length_b 5.0045
_cell_length_c 5.3546
_cell_angle_alpha 90.00
_cell_angle_beta 90.00
_cell_angle_gamma 90.00
_space_group_name_H-M_alt 'P 1'
_space_group_IT_number 1
_space_group_name_Hall 'P 1'
loop_
_atom_site_label
_atom_site_type_symbol
_atom_site_fract_x
_atom_site_fract_y
_atom_site_fract_z
_atom_site_occupancy
Ta1 Ta 0.0000 0.0000 0.0000 1
In1 In 0.0000 0.0000 0.5000 1
Au1 Au 0.0000 0.5000 0.5000 1
Au2 Au 0.5000 0.0000 0.5000 1
C1 C 0.5000 0.5000 0.0000 1
```

* formation energy: 2.583 eV/atom
* total moment: 0.42 μB/f.u.
* SG: P4/mmm (123)
* Fermi-level density of states: 5.68 states/eV/cell


No. 4
Computed, not measured: an optimized crystal structure of IrAu3C at the PBE-GGA level of DFT.

Cell and atoms, written as CIF:
```
data_IrAu3C
_chemical_formula_sum 'Ir1 Au3 C1'
_cell_length_a 5.0449
_cell_length_b 5.0449
_cell_length_c 5.0449
_cell_angle_alpha 90.00
_cell_angle_beta 90.00
_cell_angle_gamma 90.00
_space_group_name_H-M_alt 'P 1'
_space_group_IT_number 1
_space_group_name_Hall 'P 1'
loop_
_atom_site_label
_atom_site_type_symbol
_atom_site_fract_x
_atom_site_fract_y
_atom_site_fract_z
_atom_site_occupancy
Ir1 Ir 0.0000 0.0000 0.0000 1
Au1 Au 0.0000 0.0000 0.5000 1
Au2 Au 0.0000 0.5000 0.0000 1
Au3 Au 0.5000 0.0000 0.0000 1
C1 C 0.5000 0.5000 0.5000 1
```

* formation energy: 2.412 eV/atom
* total moment: 1.58 μB/f.u.
* offset from the most stable computed form: 1324 meV per atom
* SG: Pm-3m (221)
* Fermi-level density of states: 7.54 states/eV/cell


No. 5
Computed, not measured: an optimized crystal structure of Ir3AuC at the PBE-GGA level of DFT.

Cell and atoms, written as CIF:
```
data_Ir3AuC
_chemical_formula_sum 'Ir3 Au1 C1'
_cell_length_a 4.1313
_cell_length_b 4.1313
_cell_length_c 4.1313
_cell_angle_alpha 90.00
_cell_angle_beta 90.00
_cell_angle_gamma 90.00
_space_group_name_H-M_alt 'P 1'
_space_group_IT_number 1
_space_group_name_Hall 'P 1'
loop_
_atom_site_label
_atom_site_type_symbol
_atom_site_fract_x
_atom_site_fract_y
_atom_site_fract_z
_atom_site_occupancy
Ir1 Ir 0.0000 0.0000 0.5000 1
Ir2 Ir 0.0000 0.5000 0.0000 1
>>>

What is needed: filter the data further up: keep the lines with the word "Si".

Si1 Si 0.5000 0.5000 0.0000 1